### What to do
Write out every line further below that contains the word "extended", please.

### Contents
=====
# 1
## BaNiH2 (PBE-GGA)

Data for BaNiH2 after structural relaxation.

extended XYZ file:
```
8
Lattice="-2.709 2.709 3.723 2.709 -2.709 3.723 2.709 2.709 -3.723" Properties=species:S:1:pos:R:3 pbc="T T T"
Ba 0.000 0.000 0.000
Ba 0.000 2.709 1.862
Ni 2.709 0.000 1.862
Ni 0.000 0.000 3.723
H 1.355 2.383 -0.931
H 3.036 1.355 0.931
H 1.355 0.327 2.792
H -0.327 1.355 4.654
```

Calculated values
- ΔE to the lowest computed polymorph (meV per atom) = 1
- SG = No. 122
- total magnetic moment (μB/cell) = 0.00
- crystal system = tetragonal


# 2
## BaNi2H6 (PBE-GGA)

Data for BaNi2H6 after structural relaxation.

extended XYZ file:
```
18
Lattice="0.000 4.333 4.333 4.333 0.000 4.333 4.333 4.333 0.000" Properties=species:S:1:pos:R:3 pbc="T T T"
Ba 1.083 1.083 1.083
Ba 7.583 7.583 7.583
Ni 4.333 2.166 2.166
Ni 2.166 4.333 2.166
Ni 2.166 2.166 4.333
Ni 4.333 4.333 4.333
H 3.250 3.250 1.565
H 3.250 1.565 3.250
H 4.934 3.250 3.250
H 5.416 5.416 3.732
H 5.416 3.732 5.416
H 7.101 5.416 5.416
H 1.565 3.250 3.250
H 3.250 4.934 3.250
H 3.250 3.250 4.934
H 3.732 5.416 5.416
H 5.416 7.101 5.416
H 5.416 5.416 7.101
```

Calculated values
- raw total energy (eV for the cell shown) = -71.59
- SG = No. 227
- total magnetic moment (μB/cell) = 0.00
- crystal system = cubic


# 3
## Ba6NiH12 (PBE-GGA)

Data for Ba6NiH12 after structural relaxation.

extended XYZ file:
```
19
Lattice="5.427 3.133 3.584 -5.427 3.133 3.584 0.000 -6.267 3.584" Properties=species:S:1:pos:R:3 pbc="T T T"
Ba -2.518 0.647 3.656
Ba 0.699 -2.504 3.656
Ba -1.819 -1.857 7.095
Ba 1.819 1.857 3.656
Ba -0.699 2.504 7.095
Ba 2.518 -0.647 7.095
Ni 0.000 0.000 0.000
H -3.981 -3.452 6.214
H -4.980 1.721 4.538
H -1.611 -1.700 4.478
H 0.999 -5.174 4.538
H -2.278 0.545 6.274
H -0.667 2.245 4.478
H 0.667 -2.245 6.274
H 2.278 -0.545 4.478
H -0.999 5.174 6.214
H 1.611 1.700 6.274
H 4.980 -1.721 6.214
H 3.981 3.452 4.538
```

Calculated values
- raw total energy (eV for the cell shown) = -62.87
- SG = No. 148
- total magnetic moment (μB/cell) = 1.73
- crystal system = trigonal

* * * * *

Entry 1
Below is crystalline PtPb3Br at its relaxed geometry, with properties calculated at the GGA-PBE level.

Its symmetry is Pm-3m (221).

a = 5.5866 Å, b = 5.5866 Å, c = 5.5866 Å
α = 90.00°, β = 90.00°, γ = 90.00°
Closest atoms and distances in Å follow each position.
Fractional coordinates of all 5 atoms:
Pt 0.0000 0.0000 0.0000  12 Pb 3.95
Pb 0.0000 0.5000 0.5000  2 Br 2.79
Pb 0.5000 0.0000 0.5000  2 Br 2.79
Pb 0.5000 0.5000 0.0000  2 Br 2.79
Br 0.5000 0.5000 0.5000  6 Pb 2.79

Entry 2
Below is crystalline PtPb3Br at its relaxed geometry, with properties calculated at the GGA-PBE level.

Its symmetry is Pm-3m (221).

a = 5.4929 Å, b = 5.4929 Å, c = 5.4929 Å
α = 90.00°, β = 90.00°, γ = 90.00°
Closest atoms and distances in Å follow each position.
Fractional coordinates of all 5 atoms:
Pt 0.0000 0.0000 0.0000  6 Pb 2.75
Pb 0.0000 0.0000 0.5000  2 Pt 2.75
Pb 0.0000 0.5000 0.0000  2 Pt 2.75
Pb 0.5000 0.0000 0.0000  2 Pt 2.75
Br 0.5000 0.5000 0.5000  12 Pb 3.88

Top of the stability list: entry 2, leading by 881 meV/atom.

* * * * *

Below is a geometry-optimized SnBPtRh2 structure, with properties calculated at the PBE-GGA level.

## Properties
=====

### Response
extended XYZ file:
extended XYZ file:
extended XYZ file: